New TARP Report Questions Taxpayer Bailouts of Chrysler, GM

A congressional report on TARP funding raises a host of questions.

Sept. 9, 2009— -- The Obama administration's bailouts of General Motors and Chrysler raise a wide variety of unanswered questions according to the congressionally-appointed TARP oversight group report to be released Wednesday.

"The decision to provide financing for the automotive industry raises a number of questions about TARP and its use, including the decision to fund the automotive industry, the government as tough negotiator, the conflicts of interest that arise when the government owns a substantial stake in a private company and the exit strategy," finds the report from the Congressional Oversight Panel chaired by Harvard law professor Elizabeth Warren.

The report raises a series of issues including shareholder losses, conflicts of interest, repayment of taxpayer dollars and even the Treasury Department's communications strategy.

**Misplaced data records:**
'''
DFT (PBE) results for a geometry-optimized LiPPt2 structure.

Calculated values
Total DFT energy (no corrections) ... -5.231 eV/atom
Formation energy from the elements ... -380 meV per atom

a b c (Å): 4.3445 4.3445 4.7986
angles (deg): 98.72 98.72 39.16
Last column: nearest neighbours and their distance in Å.
Fractional positions:
Li 0.0000 0.0000 0.0000  6 Pt 2.50-2.68
P 0.5000 0.5000 0.5000  6 Pt 2.56-2.59, 4 Li 2.81
Pt 0.2439 0.2439 0.7448  3 Li 2.50-2.68, 3 P 2.56-2.59, 2 Pt 2.78
Pt 0.7561 0.7561 0.2552  3 Li 2.50-2.68, 3 P 2.56-2.59, 2 Pt 2.78
'''
**So much for the data records:**

"Treasury must be clearer, more transparent, and more accountable in its TARP dealings, providing the American public with the information needed to determine the effectiveness of Treasury's efforts," the panel adds.

The watchdog also notes a double standard for the automakers' bailouts compared to ones received by the financial sector.

"Assistance given to the banks has carried less stringent conditions, and money was made readily available without a review of business plans or without any demands that shareholders forfeit their stake in the company or top management forfeit their jobs.

By contrast, Treasury was a tough negotiator as it invested taxpayer funds in the automotive industry. The bulk of the funds were available only after the companies had filed for bankruptcy, wiping out their old shareholders, cutting their labor costs, reducing their debt obligations and replacing some top management."

American taxpayers now own 61 percent of post-bankruptcy GM and 10 percent of post-bankruptcy Chrysler. However, the panel says, they run the risk of losing money on these investments.

"Although taxpayers may recover some portion of their investment in Chrysler and GM, it is unlikely they will recover the entire amount."

Chrysler GM Bailout

The panel's report also suggests a series of recommendations going forward.

"The panel recommends that Treasury use its role as a significant shareholder in Chrysler and GM to ensure that these companies fully disclose their financial status and that the compensation of their executives is aligned to clear measures of long-term success.

"To limit the impact of conflicts of interest and to facilitate an effective exit strategy, Treasury should also consider placing its Chrysler and GM shares in an independent trust that would be insulated from political pressure and government interference.

"Finally, because of the unprecedented nature of the assistance provided to the automotive industry, the panel also recommends that Treasury provide its legal analysis justifying the use of TARP funds for this purpose.

"This analysis will inform policymakers' and taxpayers' understanding of the potential for Treasury to use its authority to assist other struggling industries."

At one point, President Obama said, "I refuse to kick the can down the road."

The report from the panel, however, warns that, "The government-orchestrated bankruptcies of Chrysler and GM did not resolve the complex underlying problems facing the domestic automotive industry in the United States. It is, therefore, unclear whether the new entities will be able to overcome the historical shortcomings that led to their predecessors' failure.

"If they are unable to do so, either the government will need to step in again, or the companies will need to liquidate, with much of the attendant misery that the government sought to avoid in 2008 and 2009."

On Thursday, Treasury Secretary Tim Geithner will testify before the panel.

The full report can be found online at